(Brief)
Print the whole of the entries further down unchanged, please.
(Excerpt)
=====
DFT (PBE) results for an optimized crystal structure of YTe.

Output
Formation energy from raw total energies, meV/atom: -795.3
Space group: P-3m1 (164)
E_tot, eV/cell: -22.4
Magnetization, μB per atom: 0.000

extended XYZ file:
```
4
Lattice="4.328 0.000 0.000 -2.164 3.749 0.000 0.000 0.000 10.184" Properties=species:S:1:pos:R:3 pbc="T T T"
Y 0.000 2.499 1.552
Y 2.164 1.250 8.631
Te 0.000 2.499 7.047
Te 2.164 1.250 3.137
```

~~~~~

# Gd2GaBi (PBE, relaxed)
# * ΔE to the lowest computed polymorph: 40 meV per atom
# * ΔH_f (0 K): -13.4 kcal/mol of atoms
# * size of the total moment: 42.68 Bohr magnetons per cell
# * V: 28.414 A^3/atom
# * DOS at the Fermi energy: 8.61 states/eV/cell
data_Gd2GaBi
_symmetry_space_group_name_H-M 'R -3 m'
_symmetry_Int_Tables_number 166
_symmetry_space_group_name_Hall '-R 3 2"'
_cell_length_a 4.9215
_cell_length_b 4.9215
_cell_length_c 16.2550
_cell_angle_alpha 90.00
_cell_angle_beta 90.00
_cell_angle_gamma 120.00
loop_
_atom_site_label
_atom_site_type_symbol
_atom_site_fract_x
_atom_site_fract_y
_atom_site_fract_z
Gd1 Gd 0.0000 0.0000 0.2400
Ga1 Ga 0.0000 0.0000 0.5000
Bi1 Bi 0.0000 0.0000 0.0000



# AcPm5Sn3 (PBE, relaxed)
# * ΔH_f (0 K): -12.7 kcal/mol of atoms
# * size of the total moment: 5.07 Bohr magnetons per cell
# * V: 30.779 A^3/atom
# * DOS at the Fermi energy: 19.23 states/eV/cell
data_AcPm5Sn3
_symmetry_space_group_name_H-M 'P 63/m c m'
_symmetry_Int_Tables_number 193
_symmetry_space_group_name_Hall '-P 6c 2'
_cell_length_a 9.6620
_cell_length_b 9.6620
_cell_length_c 6.8527
_cell_angle_alpha 90.00
_cell_angle_beta 90.00
_cell_angle_gamma 120.00
loop_
_atom_site_label
_atom_site_type_symbol
_atom_site_fract_x
_atom_site_fract_y
_atom_site_fract_z
Ac1 Ac 0.0000 0.0000 0.0000
Pm1 Pm 0.0000 0.3349 0.2500
Pm2 Pm 0.3333 0.6667 0.0000
Sn1 Sn 0.0000 0.3377 0.7500



# TlFeP (PBE, relaxed)
# * ΔE to the lowest computed polymorph: 0 meV per atom
# * ΔH_f (0 K): -6.1 kcal/mol of atoms
# * size of the total moment: 0.00 Bohr magnetons per cell
# * V: 20.667 A^3/atom
# * DOS at the Fermi energy: 2.56 states/eV/cell
data_TlFeP
_symmetry_space_group_name_H-M 'P 4/n m m'
_symmetry_Int_Tables_number 129
_cell_length_a 3.792
_cell_length_b 3.792
_cell_length_c 8.623
_cell_angle_alpha 90.00
_cell_angle_beta 90.00
_cell_angle_gamma 90.00
loop_
_symmetry_equiv_pos_as_xyz
'x,y,z'
'-x,-y,-z'
'-y+1/2,x,z'
'y+1/2,-x,-z'
'-x+1/2,-y+1/2,z'
'x+1/2,y+1/2,-z'
'y,-x+1/2,z'
'-y,x+1/2,-z'
'x+1/2,-y,-z'
'-x+1/2,y,z'
'-y,-x,-z'
'y,x,z'
'-x,y+1/2,-z'
'x,-y+1/2,z'
'y+1/2,x+1/2,-z'
'-y+1/2,-x+1/2,z'
loop_
_atom_site_label
_atom_site_type_symbol
_atom_site_fract_x
_atom_site_fract_y
_atom_site_fract_z
Tl1 Tl 0.250 0.250 0.175
Fe1 Fe 0.250 0.750 0.500
P1 P 0.250 0.250 0.628



# Th8AsS6 (PBE, relaxed)
# * formation energy without anion corrections: -19.55 eV/f.u.
# * size of the total moment: 0.00 Bohr magnetons per cell
# * V: 25.467 A^3/atom
# * DOS at the Fermi energy: 13.74 states/eV/cell
data_Th8AsS6
_symmetry_space_group_name_H-M 'P -3'
_symmetry_Int_Tables_number 147
_symmetry_space_group_name_Hall '-P 3'
_cell_length_a 10.2848
_cell_length_b 10.2848
_cell_length_c 4.1700
_cell_angle_alpha 90.00
_cell_angle_beta 90.00
_cell_angle_gamma 120.00
loop_
_atom_site_label
_atom_site_type_symbol
_atom_site_fract_x
_atom_site_fract_y
_atom_site_fract_z
Th1 Th 0.0360 0.7166 0.2582
Th2 Th 0.3333 0.6667 0.7471
As1 As 0.0000 0.0000 0.5000
S1 S 0.1272 0.4877 0.2468



# LiZnCl4 (PBE, relaxed)
# * ΔE to the lowest computed polymorph: 0 meV per atom
# * formation energy without anion corrections: -5.92 eV/f.u.
# * size of the total moment: 0.01 Bohr magnetons per cell
# * V: 22.434 A^3/atom
# * DOS at the Fermi energy: 10.02 states/eV/cell
data_LiZnCl4
_symmetry_space_group_name_H-M 'P 1 21/c 1'
_symmetry_Int_Tables_number 14
_symmetry_space_group_name_Hall '-P 2ybc'
_cell_length_a 6.544
_cell_length_b 3.674
_cell_length_c 11.642
_cell_angle_alpha 90.00
_cell_angle_beta 105.89
_cell_angle_gamma 90.00
loop_
_atom_site_label
=====
(Response)
DFT (PBE) results for an optimized crystal structure of YTe.

Output
Formation energy from raw total energies, meV/atom: -795.3
Space group: P-3m1 (164)
E_tot, eV/cell: -22.4
Magnetization, μB per atom: 0.000

extended XYZ file:
```
4
Lattice="4.328 0.000 0.000 -2.164 3.749 0.000 0.000 0.000 10.184" Properties=species:S:1:pos:R:3 pbc="T T T"
Y 0.000 2.499 1.552
Y 2.164 1.250 8.631
Te 0.000 2.499 7.047
Te 2.164 1.250 3.137
```

~~~~~

# Gd2GaBi (PBE, relaxed)
# * ΔE to the lowest computed polymorph: 40 meV per atom
# * ΔH_f (0 K): -13.4 kcal/mol of atoms
# * size of the total moment: 42.68 Bohr magnetons per cell
# * V: 28.414 A^3/atom
# * DOS at the Fermi energy: 8.61 states/eV/cell
data_Gd2GaBi
_symmetry_space_group_name_H-M 'R -3 m'
_symmetry_Int_Tables_number 166
_symmetry_space_group_name_Hall '-R 3 2"'
_cell_length_a 4.9215
_cell_length_b 4.9215
_cell_length_c 16.2550
_cell_angle_alpha 90.00
_cell_angle_beta 90.00
_cell_angle_gamma 120.00
loop_
_atom_site_label
_atom_site_type_symbol
_atom_site_fract_x
_atom_site_fract_y
_atom_site_fract_z
Gd1 Gd 0.0000 0.0000 0.2400
Ga1 Ga 0.0000 0.0000 0.5000
Bi1 Bi 0.0000 0.0000 0.0000



# AcPm5Sn3 (PBE, relaxed)
# * ΔH_f (0 K): -12.7 kcal/mol of atoms
# * size of the total moment: 5.07 Bohr magnetons per cell
# * V: 30.779 A^3/atom
# * DOS at the Fermi energy: 19.23 states/eV/cell
data_AcPm5Sn3
_symmetry_space_group_name_H-M 'P 63/m c m'
_symmetry_Int_Tables_number 193
_symmetry_space_group_name_Hall '-P 6c 2'
_cell_length_a 9.6620
_cell_length_b 9.6620
_cell_length_c 6.8527
_cell_angle_alpha 90.00
_cell_angle_beta 90.00
_cell_angle_gamma 120.00
loop_
_atom_site_label
_atom_site_type_symbol
_atom_site_fract_x
_atom_site_fract_y
_atom_site_fract_z
Ac1 Ac 0.0000 0.0000 0.0000
Pm1 Pm 0.0000 0.3349 0.2500
Pm2 Pm 0.3333 0.6667 0.0000
Sn1 Sn 0.0000 0.3377 0.7500



# TlFeP (PBE, relaxed)
# * ΔE to the lowest computed polymorph: 0 meV per atom
# * ΔH_f (0 K): -6.1 kcal/mol of atoms
# * size of the total moment: 0.00 Bohr magnetons per cell
# * V: 20.667 A^3/atom
# * DOS at the Fermi energy: 2.56 states/eV/cell
data_TlFeP
_symmetry_space_group_name_H-M 'P 4/n m m'
_symmetry_Int_Tables_number 129
_cell_length_a 3.792
_cell_length_b 3.792
_cell_length_c 8.623
_cell_angle_alpha 90.00
_cell_angle_beta 90.00
_cell_angle_gamma 90.00
loop_
_symmetry_equiv_pos_as_xyz
'x,y,z'
'-x,-y,-z'
'-y+1/2,x,z'
'y+1/2,-x,-z'
'-x+1/2,-y+1/2,z'
'x+1/2,y+1/2,-z'
'y,-x+1/2,z'
'-y,x+1/2,-z'
'x+1/2,-y,-z'
'-x+1/2,y,z'
'-y,-x,-z'
'y,x,z'
'-x,y+1/2,-z'
'x,-y+1/2,z'
'y+1/2,x+1/2,-z'
'-y+1/2,-x+1/2,z'
loop_
_atom_site_label
_atom_site_type_symbol
_atom_site_fract_x
_atom_site_fract_y
_atom_site_fract_z
Tl1 Tl 0.250 0.250 0.175
Fe1 Fe 0.250 0.750 0.500
P1 P 0.250 0.250 0.628



# Th8AsS6 (PBE, relaxed)
# * formation energy without anion corrections: -19.55 eV/f.u.
# * size of the total moment: 0.00 Bohr magnetons per cell
# * V: 25.467 A^3/atom
# * DOS at the Fermi energy: 13.74 states/eV/cell
data_Th8AsS6
_symmetry_space_group_name_H-M 'P -3'
_symmetry_Int_Tables_number 147
_symmetry_space_group_name_Hall '-P 3'
_cell_length_a 10.2848
_cell_length_b 10.2848
_cell_length_c 4.1700
_cell_angle_alpha 90.00
_cell_angle_beta 90.00
_cell_angle_gamma 120.00
loop_
_atom_site_label
_atom_site_type_symbol
_atom_site_fract_x
_atom_site_fract_y
_atom_site_fract_z
Th1 Th 0.0360 0.7166 0.2582
Th2 Th 0.3333 0.6667 0.7471
As1 As 0.0000 0.0000 0.5000
S1 S 0.1272 0.4877 0.2468



# LiZnCl4 (PBE, relaxed)
# * ΔE to the lowest computed polymorph: 0 meV per atom
# * formation energy without anion corrections: -5.92 eV/f.u.
# * size of the total moment: 0.01 Bohr magnetons per cell
# * V: 22.434 A^3/atom
# * DOS at the Fermi energy: 10.02 states/eV/cell
data_LiZnCl4
_symmetry_space_group_name_H-M 'P 1 21/c 1'
_symmetry_Int_Tables_number 14
_symmetry_space_group_name_Hall '-P 2ybc'
_cell_length_a 6.544
_cell_length_b 3.674
_cell_length_c 11.642
_cell_angle_alpha 90.00
_cell_angle_beta 105.89
_cell_angle_gamma 90.00
loop_
_atom_site_label